Next, print the lines underneath from the one with "9.0666" to the one with "6.6477" verbatim.
- - -
A plane-wave DFT calculation with PBE was carried out for La2Tl2Rh3 after structural relaxation.

Output
Symmetry: C2/m (12)
Fermi-level density of states (states/eV per atom): 0.485
Energy of formation from the pure elements (kJ per mole of atoms): -39.55

Unit cell a=8.4526 b=8.4526 c=12.2488 alpha=123.59 beta=123.59 gamma=27.52
Last column: nearest neighbours and their distance in Å.
Positions (direct):
La (0.1103, 0.1103, 0.3546)  4 Rh 2.83-2.99
La (0.1211, 0.1211, 0.0266)  5 Rh 2.76-2.97
La (0.8789, 0.8789, 0.9734)  5 Rh 2.76-2.97
La (0.8897, 0.8897, 0.6454)  4 Rh 2.83-2.99
Tl (0.2288, 0.2288, 0.6840)  4 Rh 2.83-2.87
Tl (0.4083, 0.4083, 0.2589)  4 Rh 2.83-2.93
Tl (0.5917, 0.5917, 0.7411)  4 Rh 2.83-2.93
Tl (0.7712, 0.7712, 0.3160)  4 Rh 2.83-2.87
Rh (0.2248, 0.2248, 0.9118)  2 Rh 2.71, 3 La 2.76-2.97, 3 Tl 2.83
Rh (0.4039, 0.4039, 0.4945)  2 La 2.83, 4 Tl 2.83-2.93, 1 Rh 3.08
Rh (0.4413, 0.4413, 0.8560)  1 Tl 2.87, 1 Rh 2.90, 6 La 2.97-3.18
Rh (0.5587, 0.5587, 0.1440)  1 Tl 2.87, 1 Rh 2.90, 6 La 2.97-3.18
Rh (0.5961, 0.5961, 0.5055)  2 La 2.83, 4 Tl 2.83-2.93, 1 Rh 3.08
Rh (0.7752, 0.7752, 0.0882)  2 Rh 2.71, 3 La 2.76-2.97, 3 Tl 2.83

* * * * *

Record 1
Ta2TlW: relaxed, PBE.

Structure (extended XYZ):
```
8
Lattice="3.5249 0.0000 0.0000 0.0000 4.6561 0.0000 0.0000 0.0000 9.0666" Properties=species:S:1:pos:R:3 pbc="T T T"
Ta 0.0000 0.0000 2.1144
Ta 0.0000 0.0000 6.9522
Ta 1.7625 2.3281 2.4189
Ta 1.7625 2.3281 6.6477
Tl 0.0000 2.3281 0.0000
Tl 1.7625 0.0000 4.5333
W 0.0000 2.3281 4.5333
W 1.7625 0.0000 0.0000
```

Properties
E_form: 0.40 eV/atom
energy above the most stable polymorph in this dataset: 46 kJ/mol of formula units


Record 2
Ta2TlW: relaxed, PBE.

Structure (extended XYZ):
```
4
Lattice="2.8468 0.0000 0.0000 0.0000 2.8468 0.0000 0.0000 0.0000 9.3929" Properties=species:S:1:pos:R:3 pbc="T T T"
Ta 0.0000 0.0000 0.0000
Ta 1.4234 1.4234 2.2981
Tl 0.0000 0.0000 4.7562
W 1.4234 1.4234 7.1357
```

Properties
E_form: 0.56 eV/atom
energy above the most stable polymorph in this dataset: 108 kJ/mol of formula units


Record 3
Ta2Tl2W: relaxed, PBE.

Structure (extended XYZ):
```
10
Lattice="3.8447 0.0000 0.0000 0.0000 3.8447 0.0000 0.0000 0.0000 14.2580" Properties=species:S:1:pos:R:3 pbc="T T T"
Ta 0.0000 1.9224 3.5645
Ta 0.0000 1.9224 10.6935
Ta 1.9224 0.0000 3.5645
Ta 1.9224 0.0000 10.6935
Tl 0.0000 0.0000 1.3714
Tl 0.0000 0.0000 12.8866
Tl 1.9224 1.9224 5.7576
Tl 1.9224 1.9224 8.5004
W 0.0000 0.0000 7.1290
W 1.9224 1.9224 0.0000
```

Properties
E_form: 1.29 eV/atom
energy above the most stable polymorph in this dataset: 144 kJ/mol of formula units


Record 4
TaTlW2: relaxed, PBE.

Structure (extended XYZ):
```
8
Lattice="3.2492 0.0000 0.0000 0.0000 4.8340 0.0000 0.0000 0.0000 9.3873" Properties=species:S:1:pos:R:3 pbc="T T T"
Ta 0.0000 0.0000 0.0000
Ta 1.6246 2.4170 0.0000
Tl 0.0000 2.4170 6.8250
Tl 1.6246 0.0000 6.8250
W 0.0000 0.0000 4.3205
W 0.0000 2.4170 2.2165
W 1.6246 0.0000 2.2165
W 1.6246 2.4170 4.3205
```

Properties
E_form: 0.42 eV/atom
energy above the most stable polymorph in this dataset: 0 kJ/mol of formula units


Record 5
Ta3TlW: relaxed, PBE.

Structure (extended XYZ):
```
5
Lattice="4.9607 0.0000 0.0000 0.0000 4.9607 0.0000 0.0000 0.0000 4.9607" Properties=species:S:1:pos:R:3 pbc="T T T"
Ta 0.0000 0.0000 2.4803
Ta 0.0000 2.4803 0.0000
Ta 2.4803 0.0000 0.0000
Tl 0.0000 0.0000 0.0000
W 2.4803 2.4803 2.4803
```

Properties
E_form: 2.82 eV/atom
energy above the most stable polymorph in this dataset: 656 kJ/mol of formula units


Record 6
TaTlW2: relaxed, PBE.

Structure (extended XYZ):
```
8
Lattice="3.4067 0.0000 0.0000 0.0000 4.6076 0.0000 0.0000 0.0000 9.1988" Properties=species:S:1:pos:R:3 pbc="T T T"
Ta 0.0000 0.0000 0.0000
Ta 1.7034 2.3038 4.5994
Tl 0.0000 2.3038 2.1212
Tl 1.7034 0.0000 6.7206
W 0.0000 0.0000 4.2983
W 0.0000 2.3038 6.8270
W 1.7034 0.0000 2.2276
W 1.7034 2.3038 8.8977
```

Properties
E_form: 0.55 eV/atom
- - -
Lattice="3.5249 0.0000 0.0000 0.0000 4.6561 0.0000 0.0000 0.0000 9.0666" Properties=species:S:1:pos:R:3 pbc="T T T"
Ta 0.0000 0.0000 2.1144
Ta 0.0000 0.0000 6.9522
Ta 1.7625 2.3281 2.4189
Ta 1.7625 2.3281 6.6477